My previous dragon posted here was for the comp over at cghub check out the entries, I'd love to get your vote but which ever entry you feel deserves It go right ahead never-the-less here is my contribution:
Chasing another dragon, he is like my other design of the trifecta mount so he can do Land, sea and air.
Posing him currently for the other views, takes a while for me to get it "perfect".

Wanted some c&c if anyone had any ideas, the environment is rushed and just a pedestal not to take away from the dragon himself.
How I came up with this (While trying to be original..):
Head / mouth: (Sea turtle / Horse shoes crab)() Yup it is a shell and not METAL)
Wings: Dragon/Bat wings (red inside) - Fish scale / pocketing "wings" think flap, over flaps (black side)
Body: Flying Dragon / Black Marlin (real, in Asia, just a small tree hopping/gliding "lizard".)
body continued: the extra folds of skin you see at his arms,legs and tail help in the gliding attribute, think flying squirrel.
Fin: Black Marlins
-- The text is interrupted by calculated molecules --
-- begin --
{"formula": "C5H11FS2", "method": "ωB97M-V/def2-TZVPD", "lumo_energy_ev": 0.686, "mol_weight_g_mol": 154.28, "de_lowest_kj_mol": 0.00, "homo_lumo_gap_ha": 0.3426, "smiles": "CSC(C)(CF)SC", "species": ["C", "C", "C", "C", "C", "H", "H", "H", "H", "H", "H", "H", "H", "H", "H", "H", "F", "S", "S"], "coordinates": [[1.215, 2.122, -0.613], [0.217, -0.443, 0.067], [0.019, -1.418, 1.225], [1.262, -1.010, -0.899], [-2.518, 0.252, 0.253], [1.342, 3.158, -0.253], [2.172, 1.766, -1.066], [0.402, 2.105, -1.369], [-0.672, -1.004, 1.992], [-0.398, -2.365, 0.859], [0.952, -1.624, 1.702], [1.407, -0.314, -1.745], [0.914, -2.005, -1.257], [-3.375, 0.590, -0.274], [-2.114, 1.075, 0.849], [-2.787, -0.570, 0.928], [2.477, -1.185, -0.250], [0.772, 1.130, 0.824], [-1.285, -0.259, -0.971]], "mulliken_charge": [-0.77, 0.84, -1.78, -0.88, -0.81, 0.36, 0.23, 0.26, 0.41, 0.38, 0.48, 0.41, 0.42, 0.39, 0.26, 0.24, -0.31, -0.05, -0.05]}

=====

{"formula": "CH3NO3S", "method": "ωB97M-V/def2-TZVPD", "lumo_energy_ev": [-1.325, -1.325], "mol_weight_g_mol": 109.11, "de_lowest_kj_mol": 601.00, "homo_lumo_gap_ha": [0.3006, 0.3006], "species": ["C", "N", "O", "O", "O", "S", "H", "H", "H"], "coordinates": [[1.660, -0.441, -0.687], [-0.680, 0.222, -0.027], [3.989, -0.981, 0.137], [3.392, 1.425, -0.003], [0.404, 0.820, -0.585], [2.979, 0.075, 0.051], [1.211, -1.367, -0.279], [-1.550, 0.642, -0.306], [-0.578, 0.375, 0.986]], "mulliken_charge": [-0.07, -0.43, -0.47, -0.44, -0.24, 0.84, 0.33, 0.25, 0.24]}

=====

The following is a DFT calculation (ωB97M-V/def2-TZVPD) of a 14-piece molecular cluster, C63H155N20O14P3 overall.

Positions of all 255 atoms, in Å:
C  -4.26  -2.71  -1.67
O  -4.20  -3.67  -2.43
N  -3.75  -1.52  -1.86
C  -3.77  -0.69  -0.67
C  -3.15  -1.04  -3.11
H  -4.69  -2.74  -0.66
H  -4.60  -0.93  -0.01
H  -4.09  0.33  -0.93
H  -2.93  -0.74  0.02
H  -3.64  -0.16  -3.53
H  -2.12  -0.93  -2.77
H  -2.99  -1.90  -3.76
C  -4.18  3.71  4.06
O  -3.80  3.05  5.09
N  -5.01  3.32  3.04
C  -4.99  4.09  1.80
C  -5.86  2.12  3.18
H  -3.91  4.72  3.73
H  -4.01  4.54  1.62
H  -5.75  4.88  1.72
H  -5.12  3.39  0.98
H  -5.35  1.36  2.58
H  -5.98  1.74  4.19
H  -6.85  2.49  2.91
C  3.71  -3.14  -5.12
O  4.25  -2.15  -5.65
N  3.54  -4.29  -5.76
C  3.03  -5.42  -5.10
C  4.11  -4.48  -7.08
H  3.43  -3.15  -4.06
H  2.07  -5.72  -5.52
H  2.98  -5.26  -4.02
H  3.80  -6.18  -5.18
H  4.78  -3.72  -7.48
H  4.92  -5.19  -6.93
H  3.45  -4.95  -7.82
C  2.39  2.40  -6.48
O  3.29  2.87  -7.23
N  2.76  1.83  -5.30
C  4.11  1.47  -5.06
C  1.70  0.99  -4.53
H  1.33  2.63  -6.64
H  4.86  2.18  -5.43
H  4.47  0.57  -5.55
H  4.43  1.38  -4.02
H  2.15  0.06  -4.18
H  1.45  1.57  -3.64
H  0.76  0.89  -5.07
C  -0.05  -9.97  0.17
O  0.79  -9.83  -0.77
N  -0.34  -9.04  1.15
C  0.30  -7.74  1.17
C  -1.38  -9.31  2.12
H  -0.55  -10.93  0.39
H  0.60  -7.35  2.14
H  -0.34  -6.97  0.74
H  1.27  -7.72  0.68
H  -0.96  -9.92  2.92
H  -1.67  -8.34  2.54
H  -2.30  -9.74  1.73
C  2.05  5.01  -4.21
O  0.89  4.80  -3.92
-- stop --
Tail: Just me thinking of mermaids/fish ^ marlin again.
Eyes: Goat / Shrimp
Colors: garter snake (red and blue one)
Magenta flames, I just wanted a different flame that looked good so I picked that one.
He does have gills i made them they are just under the shell/armor near his head.
Finally to add for what ever reason this is my 1ST Everything(as in scene and textures, renders, environment) in zbrush, I am so glad i learned it more, loving the painting.
Hope you enjoyed it, Vote for me here:
or for which ever dragon you like best.
Proud to end my year with this one.
The dragon itself looks cool though I dont think those wings will support any flight at all. Also the scales are bit too cleanly made for my taste, its like its fresh out of the factory.
wings - dragons typically have two styles of wing, the "bat" style of wing where it's formed like this:
or the "ray" style of wing where it's formed like this:
scales - you've got too many conflicting designs which breaks up the overall feel.
head - feels like metal plates, something out of a yugioh game or something
and that beauty render... wow i mean... it's like he's walking on a flat plane, that's going vertically, perpendicular to some covered ground with nothing to walk out of.
Awesome, yea i had no time to dirty up with my accident taking away my drawing ability all together i had to make due with my other hand to just make the deadline, this is the result.
It was too clean i got some "dirt" on the red bits it is the bigger scales that didn't get much love.
I referenced this little guy and added the "dragon" limb bits to support the rest of the dragon design but It lifts that little guy so that is the idea here with those wings.
At least you like it a bit
Yea well i know it is a hard thing to do that is pretty much why i did this, i tried to make a new style of "dragon" for him cause i pretty much didn't want to copy the design that is used widely. That is the point of the attempt to be "original"?
I didn't know about the ray style i liked that if i had known i probably would have went with that.
Not totally perpendicular.
Thanks gents.
I also should just go by other peoples concepts and all that and stop trying to be the all in one, but that is pretty much the studios doing.
Just trying to follow the demand, always learning and trying new things, this was a bad move I guess.
Like i said i tried to be original, no longer possible in these days.
Thanks for the comments I appreciate them guys, will help me better mesh to the masses.
It looks like (and if I'm wrong correct me) you modeled your design and decided on a pose before thinking of the final picture and once the model was done you made the enrivoment around the model. I don't know how much control you have of reposing the dragon, the final beauty render could be ok if adjusted (mainly limbs and wings) or if you make a new enviroment around the model that would fit its current pose if its too difficult to re-pose or rig the model
I mainly get upset at myself if i sound like i am defending my piece, just FYI.
I will say however that i instantly thought of the pose and then the environment I had one thought and when i already created the environment the dragon didn't fit with my idea, again my fault but the deadline as i saw it anyway was nearing really close, like 20 minutes. Though come to find out i was way off, how was that when i was using a time zone clock is beyond me...
but i was off... somehow. Anyway.
Here is my crappy concept for the beauty, attach.
It is bad i know but this is a rushed idea...
I saved the model so i can repose it, i don't know why Zbrush doesn't have an option like this and i think that is a major flaw, unless i missed it?
I saved the polymesh3D that is creates and the main design and the rigging so that i can change anything at anytime so it is easy for me to make changes at anytime to both the details on the main base and the rig at least i did that right.
I would gladly take on a suggestion to make this better from anyone who knows what they are talking about.
To be honest i wish i learned more 2D that might have helped me a lot here, just FYI for the noobs watching, you better know 2D or your assed out.
Anyway thanks for your help thus far i appreciate it as i feel i get a lack of responses to assist me in becoming a better artist. I was about to post this on CA to get help as i feel they might be more responsive to assist.
That sucks cause I've been a black and Greeen since 99...anyway happy new year ppl.
Also upon creating this soulty at cghub had the same idea pose and again i was not going to copy someone else, that pisses me off, sadly.. the copy part of any design. To add to this i always think try harder not to copy... but that is just me.